File:
Entry 1:
First-principles (PBE) data for Na14Sc8Si7S5O48 after structural relaxation, as listed in the Materials Project.

The energy relative to the elements is -2.846 eV/atom. Its space-group type is P1, No. 1. The calculation puts the calculated total energy at -1697.301 eV for the cell shown. For the total magnetic moment, the calculation gives 0.0 μB per cell.

Cell lengths 9.165, 15.892, 22.709 Å; angles 90.08, 90.07, 90.05 degrees
Atoms (fractional coordinates):
Na  0.000  0.000  0.000
Na  0.001  0.623  0.006
Na  0.004  0.655  0.348
Na  0.033  0.312  0.011
Na  0.041  0.650  0.676
Na  0.052  0.982  0.350
Na  0.169  0.813  0.759
Na  0.175  0.472  0.089
Na  0.183  0.137  0.429
Na  0.188  0.135  0.924
Na  0.190  0.811  0.261
Na  0.191  0.477  0.588
Na  0.309  0.986  0.846
Na  0.318  0.650  0.178
Na  0.327  0.311  0.515
Na  0.355  0.656  0.844
Na  0.358  0.001  0.504
Na  0.369  0.958  0.174
Na  0.375  0.293  0.835
Na  0.483  0.796  0.338
Na  0.492  0.455  0.672
Na  0.501  0.497  0.001
Na  0.504  0.156  0.347
Na  0.533  0.814  0.010
Na  0.550  0.482  0.350
Na  0.552  0.150  0.678
Na  0.669  0.980  0.087
Na  0.672  0.635  0.429
Na  0.675  0.305  0.756
Na  0.678  0.637  0.923
Na  0.689  0.978  0.595
Na  0.691  0.310  0.261
Na  0.807  0.481  0.847
Na  0.818  0.150  0.176
Na  0.826  0.813  0.514
Na  0.856  0.154  0.839
Na  0.858  0.498  0.503
Na  0.860  0.124  0.514
Na  0.868  0.455  0.174
Na  0.873  0.799  0.835
Na  0.983  0.297  0.338
Na  0.986  0.963  0.674
Sc  0.163  0.810  0.608
Sc  0.169  0.146  0.277
Sc  0.169  0.476  0.243
Sc  0.177  0.147  0.576
Sc  0.177  0.147  0.774
Sc  0.177  0.148  0.070
Sc  0.179  0.488  0.942
Sc  0.179  0.811  0.410
Sc  0.183  0.815  0.908
Sc  0.187  0.493  0.445
Sc  0.190  0.476  0.742
Sc  0.196  0.811  0.107
Sc  0.668  0.305  0.611
Sc  0.669  0.977  0.243
Sc  0.670  0.646  0.278
Sc  0.672  0.649  0.072
Sc  0.673  0.993  0.944
Sc  0.677  0.314  0.410
Sc  0.681  0.311  0.908
Sc  0.681  0.989  0.443
Sc  0.682  0.648  0.571
Sc  0.689  0.647  0.777
Sc  0.695  0.309  0.107
Sc  0.696  0.983  0.739
Si  0.031  0.664  0.509
Si  0.031  0.960  0.507
Si  0.032  0.627  0.840
Si  0.036  0.295  0.174
Si  0.322  0.296  0.675
Si  0.326  0.627  0.338
Si  0.327  0.664  0.008
Si  0.330  0.961  0.009
Si  0.381  0.978  0.342
Si  0.477  0.479  0.842
Si  0.529  0.127  0.839
Si  0.529  0.165  0.507
Si  0.531  0.460  0.509
Si  0.536  0.795  0.175
Si  0.824  0.794  0.675
Si  0.826  0.127  0.340
Si  0.827  0.164  0.009
Si  0.829  0.460  0.009
Si  0.883  0.479  0.342
Si  0.885  0.149  0.675
Si  0.977  0.978  0.844
S  0.032  0.998  0.175
S  0.034  0.333  0.843
S  0.325  0.333  0.342
S  0.327  0.996  0.675
S  0.388  0.312  0.009
S  0.388  0.647  0.676
S  0.471  0.147  0.176
S  0.472  0.812  0.508
S  0.532  0.498  0.175
S  0.535  0.833  0.842
S  0.825  0.833  0.342
S  0.827  0.499  0.675
S  0.889  0.811  0.009
S  0.972  0.312  0.508
S  0.972  0.647  0.175
O  0.006  0.137  0.335
O  0.007  0.801  0.672
O  0.008  0.157  0.014
O  0.008  0.464  0.004
O  0.054  0.568  0.899
O  0.059  0.723  0.450
O  0.061  0.051  0.122
O  0.061  0.387  0.791
O  0.064  0.235  0.513
O  0.064  0.902  0.565
O  0.065  0.235  0.233
O  0.067  0.570  0.178
O  0.067  0.722  0.171
O  0.069  0.386  0.501
O  0.078  0.063  0.838
O  0.083  0.894  0.847
O  0.093  0.568  0.506
O  0.098  0.372  0.897
O  0.098  0.913  0.169
O  0.101  0.037  0.228
O  0.101  0.248  0.116
O  0.101  0.249  0.837
O  0.102  0.708  0.567
O  0.103  0.391  0.178
O  0.104  0.055  0.512
O  0.104  0.581  0.782
O  0.107  0.916  0.449
O  0.109  0.720  0.847
O  0.249  0.720  0.345
O  0.250  0.706  0.066
O  0.251  0.052  0.017
O  0.251  0.918  0.951
O  0.253  0.392  0.679
O  0.256  0.569  0.005
O  0.256  0.583  0.279
O  0.258  0.369  0.395
O  0.258  0.912  0.669
O  0.259  0.036  0.728
O  0.259  0.250  0.616
O  0.262  0.247  0.334
O  0.276  0.895  0.345
O  0.284  0.065  0.334
O  0.291  0.570  0.679
O  0.292  0.237  0.014
O  0.292  0.388  0.004
O  0.294  0.722  0.671
O  0.296  0.236  0.733

What to do:
Transcribe the notes further above from the line with "0.742" to the end without additions.

Written answer:
Sc  0.190  0.476  0.742
Sc  0.196  0.811  0.107
Sc  0.668  0.305  0.611
Sc  0.669  0.977  0.243
Sc  0.670  0.646  0.278
Sc  0.672  0.649  0.072
Sc  0.673  0.993  0.944
Sc  0.677  0.314  0.410
Sc  0.681  0.311  0.908
Sc  0.681  0.989  0.443
Sc  0.682  0.648  0.571
Sc  0.689  0.647  0.777
Sc  0.695  0.309  0.107
Sc  0.696  0.983  0.739
Si  0.031  0.664  0.509
Si  0.031  0.960  0.507
Si  0.032  0.627  0.840
Si  0.036  0.295  0.174
Si  0.322  0.296  0.675
Si  0.326  0.627  0.338
Si  0.327  0.664  0.008
Si  0.330  0.961  0.009
Si  0.381  0.978  0.342
Si  0.477  0.479  0.842
Si  0.529  0.127  0.839
Si  0.529  0.165  0.507
Si  0.531  0.460  0.509
Si  0.536  0.795  0.175
Si  0.824  0.794  0.675
Si  0.826  0.127  0.340
Si  0.827  0.164  0.009
Si  0.829  0.460  0.009
Si  0.883  0.479  0.342
Si  0.885  0.149  0.675
Si  0.977  0.978  0.844
S  0.032  0.998  0.175
S  0.034  0.333  0.843
S  0.325  0.333  0.342
S  0.327  0.996  0.675
S  0.388  0.312  0.009
S  0.388  0.647  0.676
S  0.471  0.147  0.176
S  0.472  0.812  0.508
S  0.532  0.498  0.175
S  0.535  0.833  0.842
S  0.825  0.833  0.342
S  0.827  0.499  0.675
S  0.889  0.811  0.009
S  0.972  0.312  0.508
S  0.972  0.647  0.175
O  0.006  0.137  0.335
O  0.007  0.801  0.672
O  0.008  0.157  0.014
O  0.008  0.464  0.004
O  0.054  0.568  0.899
O  0.059  0.723  0.450
O  0.061  0.051  0.122
O  0.061  0.387  0.791
O  0.064  0.235  0.513
O  0.064  0.902  0.565
O  0.065  0.235  0.233
O  0.067  0.570  0.178
O  0.067  0.722  0.171
O  0.069  0.386  0.501
O  0.078  0.063  0.838
O  0.083  0.894  0.847
O  0.093  0.568  0.506
O  0.098  0.372  0.897
O  0.098  0.913  0.169
O  0.101  0.037  0.228
O  0.101  0.248  0.116
O  0.101  0.249  0.837
O  0.102  0.708  0.567
O  0.103  0.391  0.178
O  0.104  0.055  0.512
O  0.104  0.581  0.782
O  0.107  0.916  0.449
O  0.109  0.720  0.847
O  0.249  0.720  0.345
O  0.250  0.706  0.066
O  0.251  0.052  0.017
O  0.251  0.918  0.951
O  0.253  0.392  0.679
O  0.256  0.569  0.005
O  0.256  0.583  0.279
O  0.258  0.369  0.395
O  0.258  0.912  0.669
O  0.259  0.036  0.728
O  0.259  0.250  0.616
O  0.262  0.247  0.334
O  0.276  0.895  0.345
O  0.284  0.065  0.334
O  0.291  0.570  0.679
O  0.292  0.237  0.014
O  0.292  0.388  0.004
O  0.294  0.722  0.671
O  0.296  0.236  0.733